_Input_
┌──
No. 1
The following is a PBE calculation of a geometry-optimized FeAsRh structure, from the Materials Project.

abc: 2.855 7.468 7.468
angles: 124.39 90.00 90.00
Fractional positions:
Fe1 0.000 0.000 0.000
Fe2 0.000 0.332 0.665
Fe3 0.000 0.665 0.332
As1 0.500 0.019 0.350
As2 0.500 0.350 0.019
As3 0.500 0.689 0.689
Rh1 0.500 0.007 0.671
Rh2 0.500 0.344 0.344
Rh3 0.500 0.671 0.007

uncorrected energy	-6.91	eV per atom
SG	Amm2

***

No. 2
The following is a PBE calculation of a geometry-optimized Fe2AsS3 structure, from the Materials Project.

abc: 4.674 3.320 5.567
angles: 90.00 92.42 90.00
Fractional positions:
Fe1 0.000 0.000 0.000
Fe2 0.481 0.500 0.515
As1 0.685 0.500 0.143
S1 0.198 0.000 0.376
S2 0.294 0.500 0.874
S3 0.778 0.000 0.638

E (MP2020)	-6.344	eV/atom
uncorrected energy	-6.09	eV per atom
SG	Pm

***

No. 3
The following is a PBE calculation of a geometry-optimized FeAsS structure, from the Materials Project.

abc: 5.740 5.672 5.763
angles: 90.00 112.08 90.00
Fractional positions:
Fe1 0.212 0.009 0.203
Fe2 0.212 0.491 0.703
Fe3 0.788 0.509 0.297
Fe4 0.788 0.991 0.797
As1 0.354 0.632 0.129
As2 0.354 0.868 0.629
As3 0.646 0.132 0.371
As4 0.646 0.368 0.871
S1 0.152 0.133 0.823
S2 0.152 0.367 0.323
S3 0.848 0.633 0.677
S4 0.848 0.867 0.177

E (MP2020)	-6.373	eV/atom
uncorrected energy	-6.21	eV per atom
SG	P2_1/c

***

No. 4
The following is a PBE calculation of a geometry-optimized FeSbAs structure, from the Materials Project.

abc: 3.051 5.563 6.267
angles: 90.00 90.00 90.00
Fractional positions:
Fe1 0.000 0.227 0.000
Fe2 0.500 0.773 0.500
Sb1 0.000 0.429 0.365
Sb2 0.500 0.571 0.865
As1 0.000 0.058 0.651
As2 0.500 0.942 0.151

piezoelectric modulus e_max	0.4	C/m²
uncorrected energy	-5.87	eV per atom
SG	Pmn2_1

***

No. 5
The following is a PBE calculation of a geometry-optimized Fe5SiAs structure, from the Materials Project.

abc: 6.840 6.840 12.466
angles: 90.22 90.22 120.03
Fractional positions:
Fe1 0.000 0.000 0.000
Fe2 0.004 0.689 0.504
Fe3 0.016 0.348 0.766
Fe4 0.017 0.352 0.277
Fe5 0.040 0.040 0.595
Fe6 0.047 0.686 0.086
Fe7 0.050 0.683 0.887
Fe8 0.057 0.057 0.394
Fe9 0.313 0.313 0.888
Fe10 0.316 0.686 0.393
Fe11 0.323 0.323 0.086
Fe12 0.329 0.697 0.594
Fe13 0.348 0.016 0.766
Fe14 0.352 0.017 0.277
Fe15 0.368 0.685 0.000
Fe16 0.370 0.370 0.502
Fe17 0.395 0.689 0.794
Fe18 0.405 0.405 0.296
Fe19 0.683 0.050 0.887
Fe20 0.685 0.368 0.000
Fe21 0.685 0.685 0.126
Fe22 0.686 0.047 0.086
Fe23 0.686 0.316 0.393
Fe24 0.686 0.964 0.297
Fe25 0.688 0.688 0.630
Fe26 0.689 0.004 0.504
Fe27 0.689 0.395 0.794
Fe28 0.697 0.329 0.594
Fe29 0.958 0.958 0.794
Fe30 0.964 0.686 0.297
Si1 0.017 0.351 0.965
Si2 0.018 0.683 0.693
Si3 0.020 0.354 0.474
Si4 0.351 0.017 0.965
Si5 0.354 0.020 0.474
Si6 0.683 0.018 0.693
As1 0.020 0.020 0.194
As2 0.350 0.684 0.193
As3 0.354 0.354 0.692
As4 0.682 0.682 0.926
As5 0.684 0.350 0.193
As6 0.685 0.685 0.431

uncorrected energy	-7.65	eV per atom
SG	Cm

***

No. 6
The following is a PBE calculation of a geometry-optimized TaFeAs structure, from the Materials Project.

abc: 6.304 3.766 7.111
angles: 90.00 90.00 90.00
Fractional positions:
Ta1 0.022 0.250 0.180
Ta2 0.478 0.750 0.680
Ta3 0.522 0.250 0.320
Ta4 0.978 0.750 0.820
Fe1 0.141 0.250 0.562
Fe2 0.359 0.750 0.062
Fe3 0.641 0.250 0.938
Fe4 0.859 0.750 0.438
As1 0.228 0.750 0.380
As2 0.272 0.250 0.880
As3 0.728 0.750 0.120
As4 0.772 0.250 0.620

uncorrected energy	-8.72	eV per atom
SG	Pnma

***

No. 7
The following is a PBE calculation of a geometry-optimized TiFe2As structure, from the Materials Project.

abc: 5.792 5.792 5.792
angles: 90.00 90.00 90.00
Fractional positions:
Ti1 0.000 0.000 0.000
Ti2 0.000 0.500 0.500
Ti3 0.500 0.000 0.500
Ti4 0.500 0.500 0.000
Fe1 0.250 0.250 0.250
Fe2 0.250 0.250 0.750
Fe3 0.250 0.750 0.250
Fe4 0.250 0.750 0.750
Fe5 0.750 0.250 0.250
Fe6 0.750 0.250 0.750
Fe7 0.750 0.750 0.250
Fe8 0.750 0.750 0.750
As1 0.000 0.000 0.500
As2 0.000 0.500 0.000
As3 0.500 0.000 0.000
As4 0.500 0.500 0.500
└──
_Work order_
Could you write out all of the data earlier on without additions?
_Done_
No. 1
The following is a PBE calculation of a geometry-optimized FeAsRh structure, from the Materials Project.

abc: 2.855 7.468 7.468
angles: 124.39 90.00 90.00
Fractional positions:
Fe1 0.000 0.000 0.000
Fe2 0.000 0.332 0.665
Fe3 0.000 0.665 0.332
As1 0.500 0.019 0.350
As2 0.500 0.350 0.019
As3 0.500 0.689 0.689
Rh1 0.500 0.007 0.671
Rh2 0.500 0.344 0.344
Rh3 0.500 0.671 0.007

uncorrected energy	-6.91	eV per atom
SG	Amm2

***

No. 2
The following is a PBE calculation of a geometry-optimized Fe2AsS3 structure, from the Materials Project.

abc: 4.674 3.320 5.567
angles: 90.00 92.42 90.00
Fractional positions:
Fe1 0.000 0.000 0.000
Fe2 0.481 0.500 0.515
As1 0.685 0.500 0.143
S1 0.198 0.000 0.376
S2 0.294 0.500 0.874
S3 0.778 0.000 0.638

E (MP2020)	-6.344	eV/atom
uncorrected energy	-6.09	eV per atom
SG	Pm

***

No. 3
The following is a PBE calculation of a geometry-optimized FeAsS structure, from the Materials Project.

abc: 5.740 5.672 5.763
angles: 90.00 112.08 90.00
Fractional positions:
Fe1 0.212 0.009 0.203
Fe2 0.212 0.491 0.703
Fe3 0.788 0.509 0.297
Fe4 0.788 0.991 0.797
As1 0.354 0.632 0.129
As2 0.354 0.868 0.629
As3 0.646 0.132 0.371
As4 0.646 0.368 0.871
S1 0.152 0.133 0.823
S2 0.152 0.367 0.323
S3 0.848 0.633 0.677
S4 0.848 0.867 0.177

E (MP2020)	-6.373	eV/atom
uncorrected energy	-6.21	eV per atom
SG	P2_1/c

***

No. 4
The following is a PBE calculation of a geometry-optimized FeSbAs structure, from the Materials Project.

abc: 3.051 5.563 6.267
angles: 90.00 90.00 90.00
Fractional positions:
Fe1 0.000 0.227 0.000
Fe2 0.500 0.773 0.500
Sb1 0.000 0.429 0.365
Sb2 0.500 0.571 0.865
As1 0.000 0.058 0.651
As2 0.500 0.942 0.151

piezoelectric modulus e_max	0.4	C/m²
uncorrected energy	-5.87	eV per atom
SG	Pmn2_1

***

No. 5
The following is a PBE calculation of a geometry-optimized Fe5SiAs structure, from the Materials Project.

abc: 6.840 6.840 12.466
angles: 90.22 90.22 120.03
Fractional positions:
Fe1 0.000 0.000 0.000
Fe2 0.004 0.689 0.504
Fe3 0.016 0.348 0.766
Fe4 0.017 0.352 0.277
Fe5 0.040 0.040 0.595
Fe6 0.047 0.686 0.086
Fe7 0.050 0.683 0.887
Fe8 0.057 0.057 0.394
Fe9 0.313 0.313 0.888
Fe10 0.316 0.686 0.393
Fe11 0.323 0.323 0.086
Fe12 0.329 0.697 0.594
Fe13 0.348 0.016 0.766
Fe14 0.352 0.017 0.277
Fe15 0.368 0.685 0.000
Fe16 0.370 0.370 0.502
Fe17 0.395 0.689 0.794
Fe18 0.405 0.405 0.296
Fe19 0.683 0.050 0.887
Fe20 0.685 0.368 0.000
Fe21 0.685 0.685 0.126
Fe22 0.686 0.047 0.086
Fe23 0.686 0.316 0.393
Fe24 0.686 0.964 0.297
Fe25 0.688 0.688 0.630
Fe26 0.689 0.004 0.504
Fe27 0.689 0.395 0.794
Fe28 0.697 0.329 0.594
Fe29 0.958 0.958 0.794
Fe30 0.964 0.686 0.297
Si1 0.017 0.351 0.965
Si2 0.018 0.683 0.693
Si3 0.020 0.354 0.474
Si4 0.351 0.017 0.965
Si5 0.354 0.020 0.474
Si6 0.683 0.018 0.693
As1 0.020 0.020 0.194
As2 0.350 0.684 0.193
As3 0.354 0.354 0.692
As4 0.682 0.682 0.926
As5 0.684 0.350 0.193
As6 0.685 0.685 0.431

uncorrected energy	-7.65	eV per atom
SG	Cm

***

No. 6
The following is a PBE calculation of a geometry-optimized TaFeAs structure, from the Materials Project.

abc: 6.304 3.766 7.111
angles: 90.00 90.00 90.00
Fractional positions:
Ta1 0.022 0.250 0.180
Ta2 0.478 0.750 0.680
Ta3 0.522 0.250 0.320
Ta4 0.978 0.750 0.820
Fe1 0.141 0.250 0.562
Fe2 0.359 0.750 0.062
Fe3 0.641 0.250 0.938
Fe4 0.859 0.750 0.438
As1 0.228 0.750 0.380
As2 0.272 0.250 0.880
As3 0.728 0.750 0.120
As4 0.772 0.250 0.620

uncorrected energy	-8.72	eV per atom
SG	Pnma

***

No. 7
The following is a PBE calculation of a geometry-optimized TiFe2As structure, from the Materials Project.

abc: 5.792 5.792 5.792
angles: 90.00 90.00 90.00
Fractional positions:
Ti1 0.000 0.000 0.000
Ti2 0.000 0.500 0.500
Ti3 0.500 0.000 0.500
Ti4 0.500 0.500 0.000
Fe1 0.250 0.250 0.250
Fe2 0.250 0.250 0.750
Fe3 0.250 0.750 0.250
Fe4 0.250 0.750 0.750
Fe5 0.750 0.250 0.250
Fe6 0.750 0.250 0.750
Fe7 0.750 0.750 0.250
Fe8 0.750 0.750 0.750
As1 0.000 0.000 0.500
As2 0.000 0.500 0.000
As3 0.500 0.000 0.000
As4 0.500 0.500 0.500